Muslim Microlessons are regular spiritual nuggets by Omer Mozaffar, who has received Islamic studies training both through traditional and academic sources, and has addressed theological, personal, social matters for college students of all sectarian outlooks.
The contours and struggles of Iman (faith) and the contours and struggles of love find numerous parallels because of the centrality, in both cases, of the heart. You are not designed to be without Iman (in Allah), and you are not designed to be without Love.
- - -
Here is Tb2Zr8O19 after structural relaxation from Materials Project. Energies are from PBE.

Calculated values
calculated formation energy = -3743 meV/atom
size of the total moment = 0.00 μB per cell

Unit cell a=3.6477 b=3.6477 c=25.7718 alpha=90.00 beta=90.00 gamma=90.00
Space group P-4m2 (No. 115)
Inequivalent atoms, fractional coordinates:
Tb: 0.0000 0.5000 0.0565 (multiplicity 2)
Zr: 0.0000 0.5000 0.2522 (multiplicity 2)
Zr: 0.0000 0.5000 0.4504 (multiplicity 2)
Zr: 0.0000 0.5000 0.6488 (multiplicity 2)
Zr: 0.0000 0.5000 0.8469 (multiplicity 2)
O: 0.0000 0.0000 0.0000 (multiplicity 1)
O: 0.0000 0.0000 0.1094 (multiplicity 2)
O: 0.0000 0.0000 0.2076 (multiplicity 2)
O: 0.0000 0.0000 0.3055 (multiplicity 2)
O: 0.0000 0.0000 0.4029 (multiplicity 2)
O: 0.0000 0.0000 0.5000 (multiplicity 1)
O: 0.5000 0.5000 0.0981 (multiplicity 2)
O: 0.5000 0.5000 0.1974 (multiplicity 2)
O: 0.5000 0.5000 0.2975 (multiplicity 2)
O: 0.5000 0.5000 0.3984 (multiplicity 2)
O: 0.5000 0.5000 0.5000 (multiplicity 1)

Here is TbZrO14 after structural relaxation from Materials Project. Energies are from PBE.

Calculated values
calculated formation energy = -658 meV/atom
size of the total moment = 0.01 μB per cell

Unit cell a=10.8099 b=10.8099 c=10.8099 alpha=90.00 beta=90.00 gamma=90.00
Space group Fd-3m (No. 227, origin choice 2)
Inequivalent atoms, fractional coordinates:
Tb: 0.1250 0.1250 0.1250 (multiplicity 8)
Zr: 0.1250 0.1250 0.6250 (multiplicity 8)
O: 0.0000 0.0000 0.0000 (multiplicity 16)
O: 0.0310 0.0310 0.3685 (multiplicity 96)

Here is Tc2O7 after structural relaxation from Materials Project. Energies are from PBE.

Calculated values
calculated formation energy = -1799 meV/atom

Unit cell a=5.8914 b=14.2691 c=7.8197 alpha=90.00 beta=90.00 gamma=90.00
Space group Pbca (No. 61)
Inequivalent atoms, fractional coordinates:
Tc: 0.1945 0.1035 0.0125 (multiplicity 8)
O: 0.0000 0.0000 0.0000 (multiplicity 4)
O: 0.0601 0.2039 0.9511 (multiplicity 8)
O: 0.0789 0.5849 0.8794 (multiplicity 8)
O: 0.2059 0.6170 0.2164 (multiplicity 8)

Here is TlTcO2 after structural relaxation from Materials Project. Energies are from PBE.

Calculated values
calculated formation energy = -800 meV/atom
size of the total moment = 27.97 μB per cell

Unit cell a=6.6258 b=6.6258 c=12.8488 alpha=90.00 beta=90.00 gamma=90.00
Space group I4_1/amd (No. 141, origin choice 2)
Inequivalent atoms, fractional coordinates:
Tl: 0.0000 0.0000 0.0000 (multiplicity 8)
Tc: 0.0000 0.0000 0.5000 (multiplicity 8)
O: 0.0000 0.0660 0.2334 (multiplicity 16)

Here is TlTcO3 after structural relaxation from Materials Project. Energies are from PBE.

Calculated values
calculated formation energy = -1504 meV/atom
size of the total moment = 0.00 μB per cell

Unit cell a=3.9907 b=3.9907 c=3.9907 alpha=90.00 beta=90.00 gamma=90.00
Space group Pm-3m (No. 221)
Inequivalent atoms, fractional coordinates:
Tl: 0.0000 0.0000 0.0000 (multiplicity 1)
Tc: 0.5000 0.5000 0.5000 (multiplicity 1)
- - -
Meaning, you are not designed to be alone. Thus, loneliness is painful. Loneliness, like faithlessness, is an emptiness. As a pain, it becomes an unspoken prayer for relief. Some of us respond to that pain and emptiness with *spoken* prayers for relief. Better: some of us act to find healthy relief.
In contrast, a few of us take a sour path. Instead of using our tongue for prayers we use our tongues to complain; instead of action focused on healing, we act toward fulfilling our own appetites beyond boundaries.
Most, however, do nothing. And, it catches up with them a few decades later.
The common believer may need to redevelop their Iman every decade. The logic is simple: you have lived a decade more, with changes in your understanding of life. It follows that the same is true for your Iman: that faith which sustained you with such vigor a decade or two ago no longer sustains you. You need to learn a different approach to your faith.
The same is true for love, whether we speak of a spouse or a friend. The habit of the relationship of marriage or friendship might sustain two people until they leave this world. In marriage, the changes in life — children, as well as mutual aging, weakness, and sickness — provide that.
For others, however, they need to learn how to revive a threadbare connection. Professional advancements, changes in social engagements, shifts in religiosity will affect these relationships, for better or worse. For better, if both husband and wife are benefitting; for worse if one feels they are losing something. Life’s fluctuations can lead to a mutual dependency. Still, in our culture, in which we are conditioned to satisfying our narcissisms with individualistic choices, those same vicissitudes can ignite animosity.
## Someone pasted data records at this point
+++
1.
Crystalline ZrTaTe4 at its relaxed geometry, computed with PBE.

abc: 3.833 3.833 14.508
angles: 90.00 90.00 120.00
Fractional positions:
Zr (0.000, 0.000, 0.000)
Ta (0.000, 0.000, 0.500)
Te (0.333, 0.667, 0.378)
Te (0.333, 0.667, 0.871)
Te (0.667, 0.333, 0.129)
Te (0.667, 0.333, 0.622)

## Properties
Symmetry = P-3m1 (164)
Energy of formation from the pure elements = -0.8622 eV/atom

=====

2.
Crystalline Th3Ta at its relaxed geometry, computed with PBE.

abc: 6.756 6.756 5.772
angles: 90.00 90.00 120.00
Fractional positions:
Th (0.176, 0.353, 0.250)
Th (0.176, 0.824, 0.250)
Th (0.353, 0.176, 0.750)
Th (0.647, 0.824, 0.250)
Th (0.824, 0.176, 0.750)
Th (0.824, 0.647, 0.750)
Ta (0.333, 0.667, 0.750)
Ta (0.667, 0.333, 0.250)

## Properties
Symmetry = P6_3/mmc (194)
Energy of formation from the pure elements = 0.2990 eV/atom

=====

3.
Crystalline TaTi at its relaxed geometry, computed with PBE.

abc: 3.294 4.606 4.660
angles: 90.00 90.00 90.00
Fractional positions:
Ta (0.000, 0.000, 0.000)
Ta (0.500, 0.500, 0.000)
Ti (0.000, 0.500, 0.500)
Ti (0.500, 0.000, 0.500)

## Properties
Symmetry = Cmmm (65)
Energy of formation from the pure elements = 0.0606 eV/atom

=====

4.
Crystalline Ta4V at its relaxed geometry, computed with PBE.

abc: 6.584 6.584 6.584
angles: 60.00 60.00 60.00
Fractional positions:
Ta (0.186, 0.771, 0.771)
Ta (0.229, 0.229, 0.229)
Ta (0.229, 0.229, 0.814)
Ta (0.229, 0.814, 0.229)
Ta (0.771, 0.186, 0.771)
Ta (0.771, 0.771, 0.186)
Ta (0.771, 0.771, 0.771)
Ta (0.814, 0.229, 0.229)
V (0.375, 0.375, 0.375)
V (0.625, 0.625, 0.625)

## Properties
Symmetry = Fd-3m (227)
Energy of formation from the pure elements = 1.4411 eV/atom

=====

5.
Crystalline TaV at its relaxed geometry, computed with PBE.

abc: 3.213 4.616 4.341
angles: 90.00 90.00 90.00
Fractional positions:
Ta (0.000, 0.000, 0.000)
Ta (0.500, 0.500, 0.000)
V (0.000, 0.500, 0.500)
V (0.500, 0.000, 0.500)

## Properties
Symmetry = Cmmm (65)
Energy of formation from the pure elements = 0.0853 eV/atom

=====

6.
Crystalline TaW at its relaxed geometry, computed with PBE.

abc: 3.258 4.623 4.555
angles: 90.00 90.00 90.00
Fractional positions:
Ta (0.000, 0.000, 0.000)
Ta (0.500, 0.500, 0.000)
W (0.000, 0.500, 0.500)
W (0.500, 0.000, 0.500)

## Properties
Symmetry = Cmmm (65)
Energy of formation from the pure elements = -0.0675 eV/atom

=====

7.
Crystalline TaZn2 at its relaxed geometry, computed with PBE.

abc: 5.063 5.063 8.156
angles: 90.00 90.00 120.00
Fractional positions:
Ta (0.333, 0.667, 0.066)
Ta (0.333, 0.667, 0.434)
Ta (0.667, 0.333, 0.566)
Ta (0.667, 0.333, 0.934)
Zn (0.000, 0.000, 0.000)
Zn (0.000, 0.000, 0.500)
Zn (0.172, 0.344, 0.750)
Zn (0.172, 0.828, 0.750)
Zn (0.344, 0.172, 0.250)
Zn (0.656, 0.828, 0.750)
Zn (0.828, 0.172, 0.250)
Zn (0.828, 0.656, 0.250)

## Properties
Symmetry = P6_3/mmc (194)
Energy of formation from the pure elements = -0.0842 eV/atom

=====

8.
Crystalline TaZn2 at its relaxed geometry, computed with PBE.

abc: 5.048 5.048 16.325
+++
## Here the article continues
Because both Iman and Love are matters of the heart, one start is to make changes and increases in your service and giving. Shortly after a couple marry, they reach a point in which their infatuation for each other wears off. They feel no love for their spouse. Some misdiagnosis this moment as the end of the marriage. Rather, this is the point in which they need to learn to cultivate the joy of love by cultivating the joy of serving their spouses. If they can do that, they begin to tap into a fuel that seems endless.
But, a decade-ish later, the approach of giving needs to evolve. Again, another decade-ish later. Your biggest challenge then are your habits, especially the habitual patterns of thinking. Thinking-patterns ossify, and become limiting, if not destructive. Such is the case with faith. Such is the case with love.
And Allah knows best.